Principles of Home Decoration eBook

Candace Wheeler
This eBook from the Gutenberg Project consists of approximately 113 pages of information about Principles of Home Decoration.

Principles of Home Decoration eBook

Candace Wheeler
This eBook from the Gutenberg Project consists of approximately 113 pages of information about Principles of Home Decoration.

[Misplaced data records]
# 1
A plane-wave DFT calculation with PBEsol was carried out for an optimized crystal structure of Nb2Zn3O8.

Cell and atoms, written as CIF:
```
data_Nb2Zn3O8
_chemical_formula_sum 'Nb4 Zn6 O16'
_cell_length_a 5.200
_cell_length_b 5.901
_cell_length_c 9.982
_cell_angle_alpha 107.19
_cell_angle_beta 90.23
_cell_angle_gamma 90.00
_symmetry_space_group_name_H-M 'P 1'
_symmetry_Int_Tables_number 1
_symmetry_space_group_name_Hall 'P 1'
loop_
_atom_site_label
_atom_site_type_symbol
_atom_site_fract_x
_atom_site_fract_y
_atom_site_fract_z
_atom_site_occupancy
Zn1 Zn 0.259 0.876 0.444 1
Zn2 Zn 0.250 0.651 0.000 1
Zn3 Zn 0.741 0.124 0.556 1
Zn4 Zn 0.241 0.432 0.556 1
Zn5 Zn 0.750 0.349 0.000 1
Zn6 Zn 0.759 0.568 0.444 1
O1 O 0.871 0.450 0.614 1
O2 O 0.129 0.550 0.386 1
O3 O 0.057 0.080 0.362 1
O4 O 0.579 0.047 0.862 1
O5 O 0.421 0.953 0.138 1
O6 O 0.943 0.920 0.638 1
O7 O 0.917 0.680 0.116 1
O8 O 0.083 0.320 0.884 1
O9 O 0.557 0.282 0.362 1
O10 O 0.629 0.836 0.386 1
O11 O 0.443 0.718 0.638 1
O12 O 0.921 0.184 0.138 1
O13 O 0.079 0.816 0.862 1
O14 O 0.371 0.164 0.614 1
O15 O 0.417 0.436 0.116 1
O16 O 0.583 0.564 0.884 1
Nb1 Nb 0.239 0.050 0.771 1
Nb2 Nb 0.739 0.721 0.771 1
Nb3 Nb 0.761 0.950 0.229 1
Nb4 Nb 0.261 0.279 0.229 1
```

## Properties
Total magnetization = 0.00 Bohr magnetons per cell
DOS at the Fermi energy = 0.00 states/eV/f.u.
Uncorrected formation energy = -2020 meV/atom
Space group = C2/c, No. 15



# 2
A plane-wave DFT calculation with PBEsol was carried out for an optimized crystal structure of NbCdTe2N.

Cell and atoms, written as CIF:
```
data_NbCdTe2N
_chemical_formula_sum 'Nb1 Cd1 Te2 N1'
_cell_length_a 3.895
_cell_length_b 5.536
_cell_length_c 5.536
_cell_angle_alpha 90.00
_cell_angle_beta 90.00
_cell_angle_gamma 90.00
_symmetry_space_group_name_H-M 'P 1'
_symmetry_Int_Tables_number 1
_symmetry_space_group_name_Hall 'P 1'
loop_
_atom_site_label
_atom_site_type_symbol
_atom_site_fract_x
_atom_site_fract_y
_atom_site_fract_z
_atom_site_occupancy
Te1 Te 0.000 0.500 0.000 1
Te2 Te 0.000 0.000 0.500 1
Cd1 Cd 0.500 0.500 0.500 1
Nb1 Nb 0.000 0.000 0.000 1
N1 N 0.500 0.000 0.000 1
```

## Properties
Total magnetization = 0.00 Bohr magnetons per cell
DOS at the Fermi energy = 3.85 states/eV/f.u.
Uncorrected formation energy = 84 meV/atom
Space group = P4/mmm, No. 123



# 3
A plane-wave DFT calculation with PBEsol was carried out for an optimized crystal structure of Li4Ti2Mn3Ni3O16.

Cell and atoms, written as CIF:
```
data_Li4Ti2Mn3Ni3O16
_chemical_formula_sum 'Li4 Ti2 Mn3 Ni3 O16'
_cell_length_a 5.661
_cell_length_b 5.728
_cell_length_c 9.335
_cell_angle_alpha 91.56
_cell_angle_beta 90.00
_cell_angle_gamma 119.61
_symmetry_space_group_name_H-M 'P 1'
_symmetry_Int_Tables_number 1
_symmetry_space_group_name_Hall 'P 1'
loop_
_atom_site_label
_atom_site_type_symbol
_atom_site_fract_x
_atom_site_fract_y
_atom_site_fract_z
_atom_site_occupancy
O1 O 0.659 0.813 0.403 1
O2 O 0.996 0.992 0.197 1
O3 O 0.824 0.155 0.905 1
O4 O 0.494 0.530 0.660 1

In so far as the principles of decoration are derived from other arts, they can be acquired by every one, but an exquisite feeling in their application is the distinguishing quality of the true decorator.

There is quite a general impression that house-decoration is not an art which requires a long course of study and training, but some kind of natural knack of arrangement—­a faculty of making things “look pretty,” and that any one who has this faculty is amply qualified for “taking up house-decoration.”  Indeed, natural facility succeeds in satisfying many personal cravings for beauty, although it is not competent for general practice.

Of course there are people, and many of them, who are gifted with an inherent sense of balance and arrangement, and a true eye for colour, and—­given the same materials—­such people will make a room pleasant and cozy, where one without these gifts would make it positively ugly.  In so far, then, individual gifts are a great advantage, yet one possessing them in even an unusual degree may make great mistakes in decoration.  What not to do, in this day of almost universal experiment, is perhaps the most valuable lesson to the untrained decorator.  Many of the rocks upon which he splits are down in no chart, and lie in the track of what seems to him perfectly plain sailing.

There are houses of fine and noble exterior which are vulgarized by uneducated experiments in colour and ornament, and belittled by being filled with heterogeneous collections of unimportant art.  Yet these very instances serve to emphasize the demand for beautiful surroundings, and in spite of mistakes and incongruities, must be reckoned as efforts toward a desirable end.

In spite of a prevalent want of training, it is astonishing how much we have of good interior decoration, not only in houses of great importance, but in those of people of average fortunes—­indeed, it is in the latter that we get the general value of the art.

This comparative excellence is to be referred to the very general acquirement of what we call “art cultivation” among American women, and this, in conjunction with a knowledge that her social world will be apt to judge of her capacity by her success or want of success in making her own surroundings beautiful, determines the efforts of the individual woman.  She feels that she is expected to prove her superiority by living in a home distinguished for beauty as well as for the usual orderliness and refinement.  Of course this sense of obligation is a powerful spur to the exercise of natural gifts, and if in addition to these she has the habit of reasoning upon the principles of things, and is sufficiently cultivated in the literature of art to avoid unwarrantable experiment, there is no reason why she should not be successful in her own surroundings.

The typical American, whether man, or woman, has great natural facility, and when the fact is once recognized that beauty—­like education—­can dignify any circumstances, from the narrowest to the most opulent, it becomes one of the objects of life to secure it. How this is done depends upon the talent and cultivation of the family, and this is often adequate for excellent results.

Project Gutenberg
Principles of Home Decoration from Project Gutenberg. Public domain.